The "OFFICIAL" cast your VOTE on PROP 19 thread

PROP 19 - tax and regulate cannabis in California

  • YES

    Votes: 152 66.1%
  • NO

    Votes: 78 33.9%

  • Total voters

Dan Kone

Well-Known Member
lived in cali all my life. never seen or been effected by any "cartel". sounds like 1973 to me.
Lets just go back to this for a second. Are you trying to deny the impact of drug cartels? Are you implying they are some sort of illusion?


Active Member

I live damn near in the at the mexican markets (for my raw dog food)...nobody fooks with me...maybe I don't look like a Norteño...;)

you also are not messing with their stream of income currently (as far as they know). stop antagonizing.


Well-Known Member
you also are not messing with their stream of income currently (as far as they know). stop antagonizing.
That's right! This is not about Meth/coke/heroin...this thinking is as ridiculous as the stereotypical news header for a drug story that includes needles, lines and pot leaves or joints (like they are even close!) Mj is just a side thing...mexican pot is near worthless in California.



Well-Known Member
Lets just go back to this for a second. Are you trying to deny the impact of drug cartels? Are you implying they are some sort of illusion?
are you putting words into my mouth to suit your argument again? :roll:

i said "they have never effected me".


Active Member
That's right! This is not about Meth/coke/heroin...this thinking is as ridiculous as the stereotypical news header for a drug story that includes needles, lines and pot leaves or joints (like they are even close!) Mj is just a side thing...mexican pot is near worthless in California.

inaccurate and misleading. though the percentage may be much smaller in CA due to better strains propagated and distributed legally, MJ sold in the USA makes up for up to or more than 60% of cartel business. the other substances mentioned are not from Mexico, but muled through it on its way here.


Well-Known Member
looks like i missed all the fun while stepping away to water my plants.:cry:

i want this prop to pass so that we can all have a 5x5 grow competition.

i bet some fuckers will pull pounds.:blsmoke:


Well-Known Member
inaccurate and misleading. though the percentage may be much smaller in CA due to better strains propagated and distributed legally, MJ sold in the USA makes up for up to or more than 60% of cartel business. the other substances mentioned are not from Mexico, but muled through it on its way here.
when i lived in az, $60 ounces of schwag were the best for those of us on a budget.

if you were really stingy, you could sell3 dubs for $20 a piece and smoke the fourth dub for free. common practice in az last time i lived there.

edit - chronic costs $60-$65 per eighth in az. schwag is what most stoners smoke, sadly


Active Member
hopefully as legislation shifts we can get some of that sweet sweet top quality Cali green. i feel your plight all too well. i haven't even SEEN any sensimilla since moving out east.


Well-Known Member
the poll is pretty swayed when people from other states are voting yes in hopes of it helping their own state. most of which hang you for pot.

i need to start a "califonia only" voters thread so we can get an idea where we're really at as far as "true" votes go.

might as well kill the poll. don't know what i was thinking.


Well-Known Member
hopefully as legislation shifts we can get some of that sweet sweet top quality Cali green. i feel your plight all too well. i haven't even SEEN any sensimilla since moving out east.
it's been a while since az. luckily i'm in wa now, and astounded by the laid back attitude.

visited family on the east coast a while back, got some great weed but it was also $65 an eighth.

the east coast sucks:evil:


Active Member
there's already a few being done you can find with a quick google search. anyhow this has been a fascinating debate and i encourage everyone to discuss their fears, hopes, and concerns. keeping this kind of open dialogue is fantastic for educating. unfortunately its time for me to pass out for a few hours. will check back tonight to see how this is going.

p.s. if it didn't effect us we probably wouldn't care.


Well-Known Member
none of you even live in cali?

it's a california election thread.


chances are i'll be living in cali in a year or two, so it does effect me.

plus, i am speaking for the multitude of friends and family i have there, all of whom will be voting yes (if they get their asses to the polls).

if you want a poll of what californians think, here ya go....

consistently ahead....

Dan Kone

Well-Known Member
That's right! This is not about Meth/coke/heroin...this thinking is as ridiculous as the stereotypical news header for a drug story that includes needles, lines and pot leaves or joints (like they are even close!) Mj is just a side thing...mexican pot is near worthless in California.

Quite a lot of it it is grown and sold in California. It's not a side thing. It's a large portion of their income.


Active Member
lol sorry 1 last thing. from that link posted by UncleBuck...

In the 1972 California November elections, a similar initiative to legalize cannabis was on the ballot, and coincidentally it was also named Proposition 19

## Next to the entry, the page also holds materials data
........
No. 1
Simulated X-ray powder pattern
Compound: Nd2BeGeRh6
Radiation: Cu Kα (weighted mean of Kα1 and Kα2)
Structure: a structure optimized by DFT (PBE)
Intensities are scaled so that the largest is 100.

Peak list (10 most intense, 2θ = 10–90°, in order of rising 2θ)
| 2θ (°) | intensity | h k l |
| --- | --- | --- |
| 28.4 | 10 | 2 0 0 |
| 34.9 | 100 | 2 0 2 |
| 40.5 | 70 | 2 2 0 |
| 44.4 | 5 | 3 0 1 |
| 58.7 | 38 | 2 2 4 |
| 58.7 | 8 | 4 0 0 |
| 70.1 | 36 | 4 2 2 |
| 73.7 | 7 | 0 4 4 |
| 73.8 | 7 | 4 0 4 |
| 87.7 | 7 | 4 4 0 |

Cell and atoms:
```
data_Nd2BeGeRh6
_space_group_name_H-M_alt 'I m m m'
_space_group_IT_number 71
_space_group_name_Hall '-I 2 2'
_cell_length_a 6.2888
_cell_length_b 6.3006
_cell_length_c 8.8988
_cell_angle_alpha 90.00
_cell_angle_beta 90.00
_cell_angle_gamma 90.00
loop_
_atom_site_label
_atom_site_fract_x
_atom_site_fract_y
_atom_site_fract_z
Nd1 0.0000 0.0000 0.2501
Be1 0.0000 0.5000 0.0000
Ge1 0.0000 0.5000 0.5000
Rh1 0.0000 0.5000 0.2372
Rh2 0.2372 0.2627 0.0000
```



No. 2
Simulated X-ray powder pattern
Compound: BeNi4Ge
Radiation: Cu Kα (weighted mean of Kα1 and Kα2)
Structure: a structure optimized by DFT (PBE)
Intensities are scaled so that the largest is 100.

Peak list (10 most intense, 2θ = 10–90°, in order of rising 2θ)
| 2θ (°) | intensity | h k l |
| --- | --- | --- |
| 12.2 | 20 | 0 1 0 |
| 29.4 | 9 | 1 0 1 |
| 31.4 | 21 | 0 2 1 |
| 38.6 | 23 | 1 2 1 |
| 39.4 | 24 | 0 0 2 |
| 44.6 | 41 | 2 0 0 |
| 47.3 | 43 | 1 1 2 |
| 48.1 | 100 | 1 3 1 |
| 61.0 | 12 | 2 0 2 |
| 84.8 | 18 | 3 3 1 |

Cell and atoms:
```
data_BeNi4Ge
_space_group_name_H-M_alt 'P m n a'
_space_group_IT_number 53
_cell_length_a 4.0597
_cell_length_b 7.2603
_cell_length_c 4.5785
_cell_angle_alpha 90.00
_cell_angle_beta 90.00
_cell_angle_gamma 90.00
loop_
_space_group_symop_operation_xyz
'x,y,z'
'-x,-y,-z'
'-x+1/2,-y,z+1/2'
'x+1/2,y,-z+1/2'
'x,-y,-z'
'-x,y,z'
'-x+1/2,y,-z+1/2'
'x+1/2,-y,z+1/2'
loop_
_atom_site_label
_atom_site_fract_x
_atom_site_fract_y
_atom_site_fract_z
Be1 0.0000 0.0000 0.0000
Ni1 0.0000 0.1578 0.4129
Ni2 0.0000 0.3160 0.9248
Ge1 0.0000 0.5000 0.5000
```

----------

This entry pairs a crystal structure of SrTb2Fe2O7 with its computed powder XRD pattern. Radiation: CuKα. Structure: a DFT-relaxed cell (PBE+U, Alexandria).
Peak positions follow from Bragg's law for the DFT cell and can differ from measured ones.

Atomic structure:
Unit cell a=5.5919 b=5.5919 c=19.5835 alpha=90.00 beta=90.00 gamma=90.00
Fractional coordinates of all 48 atoms:
Sr 0.2409 0.2409 0.0000
Sr 0.2591 0.7409 0.5000
Sr 0.7409 0.2591 0.5000
Sr 0.7591 0.7591 0.0000
Tb 0.2227 0.2227 0.1833
Tb 0.2227 0.2227 0.8167
Tb 0.2773 0.7227 0.3167
Tb 0.2773 0.7227 0.6833
Tb 0.7227 0.2773 0.3167
Tb 0.7227 0.2773 0.6833
Tb 0.7773 0.7773 0.1833
Tb 0.7773 0.7773 0.8167
Fe 0.2416 0.2416 0.3992
Fe 0.2416 0.2416 0.6008
Fe 0.2584 0.7416 0.1008
Fe 0.2584 0.7416 0.8992
Fe 0.7416 0.2584 0.1008
Fe 0.7416 0.2584 0.8992
Fe 0.7584 0.7584 0.3992
Fe 0.7584 0.7584 0.6008
........

kinda gives you an idea of what holding out for better can net you no? a 40 year wait to get to that same first step.

Dan Kone

Well-Known Member
are you putting words into my mouth to suit your argument again? :roll:

i said "they have never effected me".
You claimed to never see a drug cartel member and put "" around the word cartel. If that wasn't meant to imply that cartels are all bs, then what was the purpose of that?


Well-Known Member
i was looking for an idea about how the vote was here. i'm well aware of google. if you aren't voting in the california election in 2 months and you voted in this poll, then this poll is meaningless. to me anyways, and i'm the one who started it. i should have been more clear.